This year's UNO Aerospace Education Workshop flight started from the Douglas County West High School in Valley. We used the soccer field north of the school, which is a great spot - in fact, a few weeks earlier I was there for a hot-air balloon flight with Rich Jaworski as pilot.
I arrived around 7 and noticed a bit of a breeze, so I went to the southwest part of the school looking for a little shelter from the wind. Unfortunately that was no better, so we all went back to the soccer field. Paul Verhage KD4STH came up the day before launch to help the teachers make their BalloonSats and was there that morning to assist them with their setup. I started unloading, setting up the chase vehicle, and began testing payloads.
The backup beacon would not transmit and the TinyTrak 3 showed no power light. I had an issue on Flight 09-A where I had accidentally run the batteries down by leaving them connected the night before after a test. Thinking this happened again, I got a spare battery pack and connected it. Still no luck, even though the battery had a full charge. Inspecting further, I found the battery and power cord were warm to the touch, so I suspected a dead short somewhere on the TinyTrak3 board. With no time to diagnose the issue, we decided to press on with the launch using a single APRS beacon (the primary) and a simplex repeater to use for DF work should that become necessary. Not ideal, but we didn't want to disappoint the teachers.
The rest of the fill and launch prep went fine and NSTAR 09-B got off the ground into an overcast sky at 0809 CDT (1309 UTC). The winds had even dropped off for us allowing a near vertical initial ascent.
********
[1]
Entry from the Alexandria database: a geometry-optimized Ce5Ni2Ge5 structure (PBE).

Geometry as POSCAR:
```
Ce5Ni2Ge5
1.0
7.446 -2.063 0.000
7.446 2.063 0.000
-6.724 0.000 8.487
Ce Ni Ge
5 2 5
Cartesian
0.000 0.000 0.000
1.832 0.000 3.378
4.222 0.000 1.751
3.947 0.000 6.737
6.337 0.000 5.109
0.831 0.000 6.284
7.338 0.000 2.204
-3.362 0.000 4.244
-1.153 0.000 2.793
-1.308 0.000 7.472
9.477 0.000 1.015
9.322 0.000 5.694
```

Output
Calculated formation energy, eV per atom: -0.71



[2]
Entry from the Alexandria database: a geometry-optimized KNpMn2Br8 structure (PBE).

Geometry as POSCAR:
```
KNpMn2Br8
1.0
3.432 1.981 10.764
-3.432 1.981 10.764
0.000 -3.963 10.764
K Np Mn Br
1 1 2 8
Cartesian
0.000 0.000 0.000
0.000 0.000 16.146
0.000 0.000 8.099
0.000 0.000 24.192
-1.043 -1.963 14.259
-1.179 -1.884 18.032
0.000 0.000 10.514
-1.179 1.884 14.259
-1.043 1.963 18.032
0.000 0.000 21.778
2.221 0.079 14.259
2.221 -0.079 18.032
```

Output
Uncorrected formation energy, eV per atom: -1.05



[3]
Entry from the Alexandria database: a geometry-optimized Li2TaCo structure (PBE).

Geometry as POSCAR:
```
Li2TaCo
1.0
1.420 0.820 9.143
-1.420 0.820 9.143
0.000 -1.639 9.143
Li Ta Co
2 1 1
Cartesian
0.000 0.000 0.000
0.000 0.000 6.511
0.000 0.000 13.108
0.000 0.000 20.305
```

Output
Calculated formation energy, eV per atom: 0.23



[4]
Entry from the Alexandria database: a geometry-optimized RbInPb structure (PBE).

Geometry as POSCAR:
```
RbInPb
1.0
5.764 0.000 0.000
-2.882 4.991 0.000
0.000 0.000 3.614
Rb In Pb
1 1 1
Cartesian
0.000 0.000 0.000
0.000 3.328 1.807
2.882 1.664 1.807
```

Output
Calculated formation energy, eV per atom: -0.03



| no. | mass density (g/cm³) | V (Å³/atom) |
| --- | --- | --- |
| 1 | 7.52 | 21.7 |
| 2 | 3.88 | 36.6 |
| 3 | 6.60 | 16.0 |
| 4 | 6.51 | 34.7 |
********
Our plan after launch was to drive to Red Oak, expecting the landing several miles farther east. With the additional weight, our ascent rates were lower than usual, around 1100 ft/min below 50,000 ft and 700 ft/min above that. We arrived in Red Oak before burst, but with the high overcast it was impossible to spot the balloon. Burst of the Kaymont 1500g balloon occurred at 0957 CDT (1457 UTC) at 94,354 ft.
== The page is interrupted by records of crystals ==
! HSCl2F, optimized geometry, DFT PBEsol; values from VASP
&SYSTEM
  ibrav = 0, nat = 5, ntyp = 4
/
ATOMIC_SPECIES
H 1.01 H.upf
S 32.06 S.upf
F 19.00 F.upf
Cl 35.45 Cl.upf
CELL_PARAMETERS angstrom
3.2124 0.0000 0.0000
0.0000 4.6058 0.0000
0.0000 0.0000 4.6058
ATOMIC_POSITIONS angstrom
H 0.0000 0.0000 0.0000
S 1.6062 0.0000 0.0000
F 1.6062 2.3029 2.3029
Cl 0.0000 0.0000 2.3029
Cl 0.0000 2.3029 0.0000
! **Volume**: 68.1 Å³ per cell
! **SG**: P4/mmm
! **Raw total energy**: -2.214 eV/atom
! **Crystal system**: tetragonal

----------

# 1
The following is a DFT calculation (GGA-PBE) of crystalline NdTh2Pa at its relaxed geometry.

abc: 7.8835 7.8835 7.8835
angles: 90.00 90.00 90.00
Space group Fm-3m (No. 225)
Asymmetric unit:
Nd  0.0000  0.0000  0.0000 x4
Th  0.2500  0.2500  0.2500 x8
Pa  0.0000  0.0000  0.5000 x4

Summary:
offset from the most stable computed form	204	meV/atom
total DFT energy (no corrections)	-6.970	eV per atom
volume	490.0	Å³/cell
DFT formation energy	1.2	eV per formula unit


# 2
The following is a DFT calculation (GGA-PBE) of crystalline NdThPa at its relaxed geometry.

abc: 3.3842 3.3842 15.8051
angles: 90.00 90.00 90.00
Space group I4mm (No. 107)
Asymmetric unit:
Nd  0.0000  0.0000  0.0000 x2
Th  0.0000  0.0000  0.6829 x2
Pa  0.0000  0.0000  0.3374 x2

Summary:
offset from the most stable computed form	0	meV/atom
total DFT energy (no corrections)	-7.048	eV per atom
volume	181.0	Å³/cell
DFT formation energy	0.5	eV per formula unit


# 3
The following is a DFT calculation (GGA-PBE) of crystalline NdThPa at its relaxed geometry.

abc: 6.4226 11.3075 20.8165
angles: 90.00 90.00 90.00
Space group Fddd (No. 70, origin choice 2)
Asymmetric unit:
Nd  0.1250  0.1250  0.0476 x16
Th  0.1250  0.1250  0.4994 x16
Pa  0.1250  0.2905  0.6250 x16

Summary:
offset from the most stable computed form	271	meV/atom
total DFT energy (no corrections)	-6.776	eV per atom
volume	1511.8	Å³/cell
DFT formation energy	1.4	eV per formula unit


# 4
The following is a DFT calculation (GGA-PBE) of crystalline Nd2ThPa at its relaxed geometry.

abc: 3.4226 3.4226 37.1391
angles: 90.00 90.00 120.00
Space group R-3m (No. 166, hexagonal axes)
Asymmetric unit:
Nd  0.0000  0.0000  0.0877 x6
Th  0.0000  0.0000  0.5000 x3
Pa  0.0000  0.0000  0.0000 x3

Summary:
total DFT energy (no corrections)	-6.281	eV per atom
volume	376.8	Å³/cell
DFT formation energy	1.3	eV per formula unit


# 5
The following is a DFT calculation (GGA-PBE) of crystalline NdTh2Pa at its relaxed geometry.

abc: 3.5179 3.5179 34.7307
angles: 90.00 90.00 120.00
Space group R3m (No. 160, hexagonal axes)
Asymmetric unit:
Nd  0.0000  0.0000  0.0000 x3
Th  0.0000  0.0000  0.5813 x3
Th  0.0000  0.0000  0.7565 x3
Pa  0.0000  0.0000  0.1692 x3

Summary:
offset from the most stable computed form	22	meV/atom
total DFT energy (no corrections)	-7.152	eV per atom
volume	372.2	Å³/cell
DFT formation energy	0.5	eV per formula unit


# 6
== So much for the records of crystals ==
The winds above 80,000 ft or so were stronger from the east than expected, and with the lower ascent rate at that altitude our burst location was driven farther west than planned. We waited in Red Oak after burst a little while, then once it looked like we would land west of Red Oak instead of east, we drove south and then west on a county road, figuring that would be better for stopping than using the much busier US34.
As we went west of Red Oak, we stopped as the balloon descended through about 10,000 ft. One of the teachers was the first to spot the payload and eventually we were all able to see it. However, I chose to stay there a little too long and we weren't as close as we could have been for the landing at 1033 CDT (1533 UTC).
None of us had actually seen the payloads touch down some distance from the road and behind a ridge. After checking the landing site on the map, I presumed it was not far beyond a ridge and in a soybean field. I didn't bring a GPS or radio, but instead just chose to walk the 200 yards or so out to the ridge to take a look.
No such luck - we couldn't see it. There were more ridges with tall grass around, and a tree line farther away. So I walked back to the Jeep and got a handheld GPS and punched the payload coordinates into it. Still didn't have a radio with me as we walked out into the field again.
It turned out I had underestimated the distance from the road. The GPS showed a distance of almost 500 yards to the payload. We struck out on the bearing the GPS provided us. As we got closer, the beans became a grassy area with a creek and trees beyond that. Within about 100 yards I could hear the beeper quite clearly, which was unusual. As the grass yielded to trees I could tell the beeping was above me rather than below, so I started looking up.
NSTAR's first tree landing |
Next to the page, the page also holds data records:
-- begin --
Model one:
Compound: YReC3
Source: Alexandria
Functional: PBE
Structure: relaxed

a b c (Å): 4.2059 4.2059 4.2059
angles (deg): 90.00 90.00 90.00
Fractional coordinates of all 5 atoms:
Y  0.0000  0.0000  0.0000
Re  0.5000  0.5000  0.5000
C  0.0000  0.5000  0.0000
C  0.0000  0.0000  0.5000
C  0.5000  0.0000  0.0000

Results
As for the space-group type: No. 221. The density of states at the Fermi level comes out at 7.3 states/eV/f.u.

---

Model two:
Compound: YReC3
Source: Alexandria
Functional: PBE
Structure: relaxed

a b c (Å): 4.0269 4.0269 4.0269
angles (deg): 90.00 90.00 90.00
Fractional coordinates of all 5 atoms:
Y  0.5000  0.5000  0.5000
Re  0.0000  0.0000  0.0000
C  0.0000  0.5000  0.0000
C  0.0000  0.0000  0.5000
C  0.5000  0.0000  0.0000

Results
As for the space-group type: No. 221. The density of states at the Fermi level comes out at 2.9 states/eV/f.u.

---

Most stable structure: model two

---

Model one:
Compound: Y2Re2C
Source: Alexandria
Functional: PBE
Structure: relaxed

a b c (Å): 5.6649 5.6649 5.1743
angles (deg): 56.81 56.81 90.00
Fractional coordinates of all 5 atoms:
Y  0.7500  0.2500  0.5000
Y  0.2500  0.7500  0.5000
Re  0.2970  0.2970  0.4059
Re  0.7030  0.7030  0.5941
C  0.0000  0.0000  0.0000

Results
As for the space-group type: No. 139. The density of states at the Fermi level comes out at 4.1 states/eV/f.u.

---

Model two:
Compound: Y2Re2C
Source: Alexandria
Functional: PBE
Structure: relaxed

a b c (Å): 5.7233 5.7233 5.3586
angles (deg): 90.00 90.00 90.00
Fractional coordinates of all 10 atoms:
Y  0.1698  0.6698  0.5000
Y  0.6698  0.8302  0.5000
Y  0.8302  0.3302  0.5000
Y  0.3302  0.1698  0.5000
Re  0.3387  0.8387  0.0000
Re  0.8387  0.6613  0.0000
Re  0.6613  0.1613  0.0000
Re  0.1613  0.3387  0.0000
C  0.0000  0.0000  0.0000
C  0.5000  0.5000  0.0000

Results
As for the space-group type: No. 127. The density of states at the Fermi level comes out at 4.3 states/eV/f.u.

---

Most stable structure: model two

---

Model one:
Compound: ZnRe2C
Source: Alexandria
Functional: PBE
Structure: relaxed

a b c (Å): 4.1062 4.1062 4.1062
angles (deg): 60.00 60.00 60.00
Fractional coordinates of all 4 atoms:
Re  0.2500  0.2500  0.2500
Re  0.7500  0.7500  0.7500
Zn  0.5000  0.5000  0.5000
C  0.0000  0.0000  0.0000

Results
As for the space-group type: No. 225. The density of states at the Fermi level comes out at 5.5 states/eV/f.u.

---

Model two:
Compound: ZnRe2C
Source: Alexandria
Functional: PBE
Structure: relaxed

a b c (Å): 4.6989 4.6989 6.9218
angles (deg): 70.16 70.16 90.00
Fractional coordinates of all 8 atoms:
Re  0.4935  0.1250  0.2500
Re  0.2565  0.6250  0.2500
Re  0.3750  0.5065  0.7500
Re  0.8750  0.7435  0.7500
Zn  0.0000  0.0000  0.0000
Zn  0.7500  0.2500  0.5000
C  0.5000  0.5000  0.0000
C  0.2500  0.7500  0.5000

Results
As for the space-group type: No. 122. The density of states at the Fermi level comes out at 4.8 states/eV/f.u.

---

Most stable structure: model two

---

Model one:
Compound: ZnReC3
-- stop --
The data records stop here:
"Aw, sh**!" It was about 30 ft up in a tree. Nothing was particularly in reach from the ground, and of course the tree it landed in was on the far side of the creek. The creek itself was in a ravine about 5 ft deep with steep sides and no easy crossing.
We examined the area looking for a suitable crossing and to decide if we needed anything else from the chase vehicles. Wayne KE6DZD had been carrying a fiberglass pole for just such a contingency. I was going to have him or someone else from the chase team bring the pole to us, but I didn't have a radio on me or my own cell phone with his number in it. Nor could I remember what his number was to call him on someone else's phone. So this meant a hike back.
Ugh. It wasn't flat terrain on the way back, and was now my fourth pass through one of the fields. Need more treadmill time. Even though it was only in the 70s that morning, I was sweating and pretty well wiped out when I got back to the Jeep and reported to the rest "it's in a ****ing tree".
Looking at the maps more closely, we could see another road that would bring us closer to the landing site. We drove to that road and there was even a strip of grass through the corn leading right to the landing site. At least this part would be easier. I pocked my cell phone and and HT and headed back to the landing site.
In the meantime, Paul KD4STH had decided to start climbing the tree in an attempt to get the payloads. He was about halfway there when I arrived with the pole. The backup payload was snagged pretty well, so we decided the first thing to do was to sever its load line. Larry N0BKB taped a knife to the end of the pole and handed it to Paul, who cut the load line. The backup beacon fell free and Larry caught it. We told him that didn't count because he was supposed to catch it in the back of his pickup like he promised. Paul snagged the other payloads and we pulled the whole works down without any damage.
Flight 09-B Track
We all headed back to our vehicles. Because the creek was so deep, the teachers had to walk back the long way rather than risk the drop and steep climb to cross it. We all made it back, winded but safe.
The backup beacon was put on the bench the following week. Nothing obvious could be spotted, but the power connection to the board looked suspect - the two conductors could possibly be touching if the wire were twisted a bit. This was redone with a little more attention paid to ensure the conductors were well separated.
Ground photos
Aerial photos